For Freshmen

Hello, freshman! Big congratulations for receiving a spot in one of our fields and welcome to YRK. Whether it's environmental or civil engineering, you've made a brilliant choice, as the built environment requires experts now and in the future. 

First year students are called "fuksi" and there are many events geared towards them during the year. At the end of their first year, freshmen will receive the title of Teekkari and join our one big Teekkari family. Many call the first year one of the best years of both their student and regular lives, so we heartily recommend you to make the best of it, to join all kinds of events with an open mind and to meet freshmen from other guilds as well. 

The first weeks of studies may cause one to feel nervous. New people, a new school and possibly a whole new town can have any fresh university student scratching their heads. You will be given a program where you can find all the presentations, occasions, lectures and mandatory events during the orientation week. Therefore there is no need to worry about any study-related matters before the first day. 

Jokainen opiskelija liitetään jo ennen orientaatioviikkoa samaa alaa opiskelevista koostuvaan pienryhmään, jota ohjaa vanhempi alan opiskelija, pienryhmäohjaaja eli tuutori. Pienryhmäohjaajasi on tukenasi koko syksyn ajan, hän osaa neuvoa mm. kurssi-ilmottautumisissa, opiskelijahintaisen lounaan saamisessa sekä tapahtumalippujen hankkimisessa. Tuutorien lisäksi fuksien tukena on killan fuksitoimikuntaa johtava fuksivastaava sekä fuksiapurit, jotka järjestävät isommat killan fuksitapahtumat, hoitavat fuksien edunvalvontaa ja toimivat linkkinä fuksien ja killan välillä. 

Members of YRK are recognized by their colorful, red, blue and yellow overalls and by the Teekkari cap, which features the guild cockade (our logo) at the front. Often events will also include our sauna on wheels, the löyly or drawbar of which is a nice chance to meet other Teekkari people. The civil and environmental engineering guild arranges social evenings, sports trials, career infos, outdoor trips and all kinds of other things. Our guild room is located in the "catacombs" of the university and every guild member is welcome to hang out, study or drink coffee between lectures. 

If you have any questions before starting your studies or at any other point, you may contact the guild's freshman representative at fuksivastaava[at]

Frequently asked questions

Studies and the working life

  • When and how will I get information about my studies starting?
    • For people who've used Opintopolku, you'll receive the first emails at the address you've given them. The date varies slightly by year, but usually you'll receive them around mid-August, well before school starts.
  • What happens during the first weeks?
    • During the first weeks you'll be familiarized with the university, the curriculum, the guild and other freshmen through different lectures, visitations, group meetings and other events. The first courses also start during the first week. You'll receive a program for the orientation week, where you can see all the lectures and the most important events you should take part in. From your group director you'll receive an expanded plan, where you can see group meetings and freshman events.
  • What has to be done before I can start my studies?
  • How do I sign up for courses?
    • The easiest way is with the Tuudo app, your group director will advice you on this during the first days.
  • How do I know what courses I should pick?
    • The courses belonging to your degree, their planned dates and electivities can be found in the university study guide ( During the freshman year, studies for all engineering students are pretty similar. Your group director will give advice on course selection and creating a curriculum in the beginning of autumn.

The first year and becoming a Teekkari

== Misplaced materials data ==
=====
Record 1
# Ac4SiGeI2
Simulated X-ray powder pattern, Cu Kα (λ = 1.5418 Å). Input: DFT lattice parameters and positions (PBE).
Intensities are scaled so that the largest is 100.

Atomic structure:
```
data_Ac4SiGeI2
_chemical_formula_sum 'Ac4 Si1 Ge1 I2'
_space_group_name_H-M_alt 'P 1 2/m 1'
_space_group_IT_number 10
_cell_length_a 7.9945
_cell_length_b 4.6189
_cell_length_c 8.5510
_cell_angle_alpha 90.00
_cell_angle_beta 108.19
_cell_angle_gamma 90.00
loop_
_space_group_symop_operation_xyz
'x,y,z'
'-x,-y,-z'
'-x,y,-z'
'x,-y,z'
loop_
_atom_site_label
_atom_site_type_symbol
_atom_site_fract_x
_atom_site_fract_y
_atom_site_fract_z
Ac1 Ac 0.2312 0.0000 0.2001
Ac2 Ac 0.2641 0.5000 0.7992
Si1 Si 0.0000 0.5000 0.0000
Ge1 Ge 0.5000 0.0000 0.0000
I1 I 0.0000 0.0000 0.5000
I2 I 0.5000 0.5000 0.5000
```

Peak list (6 most intense, 10 to 90 degrees two-theta, in order of rising 2θ)
| h k l | Position (°2θ) | intensity |
| --- | --- | --- |
| 2 0 0 | 23.41 | 25 |
| 1 1 1 | 26.67 | 100 |
| 1 1 -2 | 28.88 | 21 |
| 2 0 2 | 37.10 | 28 |
| 0 2 0 | 39.02 | 42 |
| 4 0 0 | 47.89 | 21 |


Record 2
# SbHRh3
Simulated X-ray powder pattern, Cu Kα (λ = 1.5418 Å). Input: DFT lattice parameters and positions (PBE).
Intensities are scaled so that the largest is 100.

Atomic structure:
```
data_SbHRh3
_chemical_formula_sum 'Sb2 H2 Rh6'
_space_group_name_H-M_alt 'P 63'
_space_group_IT_number 173
_cell_length_a 5.7921
_cell_length_b 5.7921
_cell_length_c 4.5038
_cell_angle_alpha 90.00
_cell_angle_beta 90.00
_cell_angle_gamma 120.00
loop_
_space_group_symop_operation_xyz
'x,y,z'
'x-y,x,z+1/2'
'-y,x-y,z'
'-x,-y,z+1/2'
'-x+y,-x,z'
'y,-x+y,z+1/2'
loop_
_atom_site_label
_atom_site_type_symbol
_atom_site_fract_x
_atom_site_fract_y
_atom_site_fract_z
Sb1 Sb 0.3333 0.6667 0.0000
H1 H 0.0000 0.0000 0.1505
Rh1 Rh 0.1234 0.3379 0.5051
```

Peak list (6 most intense, 10 to 90 degrees two-theta, in order of rising 2θ)
| h k l | Position (°2θ) | intensity |
| --- | --- | --- |
| 2 0 0 | 35.80 | 24 |
| 1 1 1 | 36.90 | 15 |
| 0 0 2 | 40.04 | 28 |
| 2 0 1 | 41.20 | 100 |
| 2 0 2 | 54.79 | 14 |
| 2 0 3 | 73.52 | 17 |

=====

[1]
Calculated X-ray diffraction stick pattern
Compound: La3Ti4O12
Radiation: Cu Kα (weighted mean of Kα1 and Kα2)
Structure: the PBE geometry in Alexandria
Neutral-atom scattering factors, no anomalous dispersion.

Structure:
Cell lengths 7.8086, 7.7886, 7.9012 Å; angles 90.00, 90.00, 90.00 degrees
Space group Amm2 (No. 38)
Asymmetric unit:
1 La 0.0000 0.0000 0.0000 x2
2 La 0.0000 0.0000 0.4959 x2
3 La 0.5000 0.0000 0.9953 x2
4 Ti 0.2577 0.2492 0.2454 x8
5 O 0.0000 0.2029 0.2475 x4
6 O 0.1980 0.0000 0.7453 x4
7 O 0.2369 0.2424 0.9934 x8
8 O 0.2847 0.0000 0.2287 x4
9 O 0.5000 0.2094 0.7515 x4

Largest 6 diffraction maxima, by intensity, 5° ≤ 2θ ≤ 70°:
| 2theta | Rel. int. | h k l |
| --- | --- | --- |
| 32.26 | 100 | 0 2 2 |
| 32.47 | 55 | 2 2 0 |
| 57.79 | 42 | 4 2 2 |
| 39.87 | 32 | 2 2 2 |
| 19.63 | 24 | 1 1 1 |
| 57.38 | 21 | 2 2 4 |

=====

[2]
=====
== End of the materials data ==

  • When do I get my overalls?
    • Student overalls are ordered at the beginning of autumn and they usually arrive by the end of the year. 
  • What is a Teekkari?
    • Teekkari is the name used for engineering students in Finland. A freshman isn't a Teekkari, however, as the moniker must be earned by surviving your first year honorably.
  • How do I get a Teekkari cap?
    • Teekkari caps are ordered by spring through Oulun Teekkariyhdistys. One is first allowed to wear the cap in the morning after overcoming the challenges of their first TeekkariWappu. 
  • What are the best and biggest freshman events?
    • Suurimpia fuksitapahtumia ovat fuksisuunnistus, fuksisitsit, fuksilakitus sekä Wapputapahtumiin kuuluvat fuksiuitot ja lakitus. Parhaimpia fuksitapahtumia edellisten lisäksi on ehdottomasti killan fuksi-info, kiltiskierros ja tuutorpäättärit. Kaikista näistä kuulet varmasti pienryhmäohjaajaltasi sekä fuksivastaavalta ja/tai -apureilta.
  • What is the student life like?
    • There are many ways to pursue the student life, and there's a wide variety of events available. Our guild and other guilds, Teekkari or otherwise, hold different kinds of events nearly every day, so there's room for choice. The classic drinking and revelry is possible, of course, but definitely not necessary for finding your own group. Studying is notably more independent than during lower grades, and it's not necessarily tied to a time or a place.

The Guild

  • What is a guild?
    • A student society connecting students studying in the same or similar fields. Advocates for its members in the university, helps new members get acquainted with the facilities and the student life, connects with other student- and subject societies across the country, encourages the following of career-related questions in related fields, and creates connections between students and enterprises in those fields. Guild members are also connected by their overalls, and their shared guild room and events.
  • What is the freshman committee?
  • The freshman committee consists of the freshman representative, their helpers, tutors, and faux tutors. Its most important tasks are to support freshmen at the start of their studies, to get them to join guild activities and to hold events for freshmen.
  • What and where are the catacombs?
    • The catacombs are the maintenance tunnels under the Linnanmaa campus. Most Teekkari guild rooms and that of Finanssi (economics) are along this mostly inaccessible path. Every freshman gets to tour their own guild room on the first days, and the others later in the fall.
  • What does the guild board even do?
    • The board's duties include to lead the functions of the guild, to assemble board meeting, to prepare the items to be disclosed and to carry out the decisions made, to oversee the duties of the committees and officials and to represent the guild. The sitting board acts for one calendar year and is chosen at the guild caucus. The most relevant board member for freshmen is the freshman representative.
  • How can I join guild activities?
    • Guild activities are open for all guild members, and as such freshmen are also welcome in all events (unless otherwise mentioned). The easiest way to become a guild active is to be chosen in the caucus at the end of the fall semester, where the officials and board members are chosen for the next calendar year. One can get more information about the positions of guild officials by asking the board or current officials, and they're also presented at an event held before the caucus. 